## Activity
The reader should type out the whole of the calculation results below verbatim.

## Material
[1]
A plane-wave DFT calculation with PBE was carried out for crystalline PrErInPt at its relaxed geometry.

Lattice parameters (Å, degrees): 5.2172 5.2172 5.2172 60.00 60.00 60.00
Sites, in units of the cell vectors:
Pr1 0.0000 0.0000 0.0000
Er1 0.5000 0.5000 0.5000
In1 0.7500 0.7500 0.7500
Pt1 0.2500 0.2500 0.2500

Calculated values
calculated total energy: -5.209 eV per atom
E_form: -678.7 meV per atom
volume: 25.1 Å³/atom
DOS at the Fermi energy: 0.82 states/eV per atom

[2]
A plane-wave DFT calculation with PBE was carried out for crystalline PrErInRh at its relaxed geometry.

Lattice parameters (Å, degrees): 5.1822 5.1822 5.1822 60.00 60.00 60.00
Sites, in units of the cell vectors:
Pr1 0.0000 0.0000 0.0000
Er1 0.5000 0.5000 0.5000
In1 0.7500 0.7500 0.7500
Rh1 0.2500 0.2500 0.2500

Calculated values
calculated total energy: -5.338 eV per atom
E_form: -479.6 meV per atom
volume: 24.6 Å³/atom
DOS at the Fermi energy: 0.88 states/eV per atom

> Among the records above, which one has the lowest volume?

PrErInRh

What did the first record say?
A plane-wave DFT calculation with PBE was carried out for crystalline PrErInPt at its relaxed geometry.

Lattice parameters (Å, degrees): 5.2172 5.2172 5.2172 60.00 60.00 60.00
Sites, in units of the cell vectors:
Pr1 0.0000 0.0000 0.0000
Er1 0.5000 0.5000 0.5000
In1 0.7500 0.7500 0.7500
Pt1 0.2500 0.2500 0.2500

Calculated values
calculated total energy: -5.209 eV per atom
E_form: -678.7 meV per atom
volume: 25.1 Å³/atom
DOS at the Fermi energy: 0.82 states/eV per atom

> Among the records above, which one has the lowest E_form?

PrErInPt

> The lowest volume belongs to which entry?

PrErInRh

* * * * *

ZrNi2HPd (GGA-PBE, optimized geometry); magnetic moment = 0.00 μB/f.u.; VASP energy = -6.078 eV/atom; Fermi-level density of states = 2.80 states/eV/f.u.; energy above the most stable polymorph in this dataset = 0.0 meV/atom
1.0
3.842 0.000 0.000
0.000 3.842 0.000
0.000 0.000 4.105
Zr Ni H Pd
1 2 1 1
direct
0.000 0.000 0.000
0.000 0.500 0.500
0.500 0.000 0.500
0.000 0.000 0.500
0.500 0.500 0.000



ZrAl3Ni3 (GGA-PBE, optimized geometry); magnetic moment = 0.00 μB/f.u.; VASP energy = -5.830 eV/atom; Fermi-level density of states = 4.15 states/eV/f.u.; calculated formation energy = -0.527 eV per atom; energy above the most stable polymorph in this dataset = 0.0 meV/atom
1.0
5.835 0.000 0.000
0.000 4.018 0.000
-0.793 0.000 8.495
Zr Al Ni
2 6 6
direct
0.119 0.250 0.148
0.881 0.750 0.852
0.020 0.750 0.394
0.371 0.750 0.960
0.452 0.750 0.311
0.548 0.250 0.689
0.629 0.250 0.040
0.980 0.250 0.606
0.222 0.250 0.848
0.282 0.750 0.651
0.297 0.250 0.443
0.703 0.750 0.557
0.718 0.250 0.349
0.778 0.750 0.152



- Among the records above, which one has the lowest Fermi-level density of states?
  ZrNi2HPd



What did the first record say?
ZrNi2HPd (GGA-PBE, optimized geometry); magnetic moment = 0.00 μB/f.u.; VASP energy = -6.078 eV/atom; Fermi-level density of states = 2.80 states/eV/f.u.; energy above the most stable polymorph in this dataset = 0.0 meV/atom
1.0
3.842 0.000 0.000
0.000 3.842 0.000
0.000 0.000 4.105
Zr Ni H Pd
1 2 1 1
direct
0.000 0.000 0.000
0.000 0.500 0.500
0.500 0.000 0.500
0.000 0.000 0.500
0.500 0.500 0.000



- Number 2 is which compound?
  ZrAl3Ni3

* * * * *

12
Lattice="3.929 0.000 0.000 -1.964 6.061 0.000 0.000 0.000 7.874" Properties=species:S:1:pos:R:3 comment="AgPt | Alexandria | PBEsol | optimized geometry" sg=Cmcm pbc="T T T"
Ag 0.000 0.001 1.969
Ag 1.964 6.060 5.906
Ag 1.964 0.000 3.937
Ag 0.000 4.086 1.969
Ag 1.964 1.976 5.906
Ag 1.964 0.000 0.000
Pt 1.964 3.981 3.998
Pt 1.964 2.064 1.969
Pt 1.964 3.981 7.814
Pt 0.000 3.997 5.906
Pt 0.000 2.080 3.877
Pt 0.000 2.080 0.061

***

10
Lattice="4.872 -0.001 -0.003 -1.566 5.368 0.000 -0.889 -1.678 6.033" Properties=species:S:1:pos:R:3 comment="Ag3Pt2 | Alexandria | PBEsol | optimized geometry" sg=P1 pbc="T T T"
Ag 2.416 0.741 1.196
Ag 2.456 2.220 3.612
Ag 0.772 0.259 4.814
Ag 4.855 -0.008 0.022
Ag 3.214 -0.473 3.594

## Completed
[1]
A plane-wave DFT calculation with PBE was carried out for crystalline PrErInPt at its relaxed geometry.

Lattice parameters (Å, degrees): 5.2172 5.2172 5.2172 60.00 60.00 60.00
Sites, in units of the cell vectors:
Pr1 0.0000 0.0000 0.0000
Er1 0.5000 0.5000 0.5000
In1 0.7500 0.7500 0.7500
Pt1 0.2500 0.2500 0.2500

Calculated values
calculated total energy: -5.209 eV per atom
E_form: -678.7 meV per atom
volume: 25.1 Å³/atom
DOS at the Fermi energy: 0.82 states/eV per atom

[2]
A plane-wave DFT calculation with PBE was carried out for crystalline PrErInRh at its relaxed geometry.

Lattice parameters (Å, degrees): 5.1822 5.1822 5.1822 60.00 60.00 60.00
Sites, in units of the cell vectors:
Pr1 0.0000 0.0000 0.0000
Er1 0.5000 0.5000 0.5000
In1 0.7500 0.7500 0.7500
Rh1 0.2500 0.2500 0.2500

Calculated values
calculated total energy: -5.338 eV per atom
E_form: -479.6 meV per atom
volume: 24.6 Å³/atom
DOS at the Fermi energy: 0.88 states/eV per atom

> Among the records above, which one has the lowest volume?

PrErInRh

What did the first record say?
A plane-wave DFT calculation with PBE was carried out for crystalline PrErInPt at its relaxed geometry.

Lattice parameters (Å, degrees): 5.2172 5.2172 5.2172 60.00 60.00 60.00
Sites, in units of the cell vectors:
Pr1 0.0000 0.0000 0.0000
Er1 0.5000 0.5000 0.5000
In1 0.7500 0.7500 0.7500
Pt1 0.2500 0.2500 0.2500

Calculated values
calculated total energy: -5.209 eV per atom
E_form: -678.7 meV per atom
volume: 25.1 Å³/atom
DOS at the Fermi energy: 0.82 states/eV per atom

> Among the records above, which one has the lowest E_form?

PrErInPt

> The lowest volume belongs to which entry?

PrErInRh

* * * * *

ZrNi2HPd (GGA-PBE, optimized geometry); magnetic moment = 0.00 μB/f.u.; VASP energy = -6.078 eV/atom; Fermi-level density of states = 2.80 states/eV/f.u.; energy above the most stable polymorph in this dataset = 0.0 meV/atom
1.0
3.842 0.000 0.000
0.000 3.842 0.000
0.000 0.000 4.105
Zr Ni H Pd
1 2 1 1
direct
0.000 0.000 0.000
0.000 0.500 0.500
0.500 0.000 0.500
0.000 0.000 0.500
0.500 0.500 0.000



ZrAl3Ni3 (GGA-PBE, optimized geometry); magnetic moment = 0.00 μB/f.u.; VASP energy = -5.830 eV/atom; Fermi-level density of states = 4.15 states/eV/f.u.; calculated formation energy = -0.527 eV per atom; energy above the most stable polymorph in this dataset = 0.0 meV/atom
1.0
5.835 0.000 0.000
0.000 4.018 0.000
-0.793 0.000 8.495
Zr Al Ni
2 6 6
direct
0.119 0.250 0.148
0.881 0.750 0.852
0.020 0.750 0.394
0.371 0.750 0.960
0.452 0.750 0.311
0.548 0.250 0.689
0.629 0.250 0.040
0.980 0.250 0.606
0.222 0.250 0.848
0.282 0.750 0.651
0.297 0.250 0.443
0.703 0.750 0.557
0.718 0.250 0.349
0.778 0.750 0.152



- Among the records above, which one has the lowest Fermi-level density of states?
  ZrNi2HPd



What did the first record say?
ZrNi2HPd (GGA-PBE, optimized geometry); magnetic moment = 0.00 μB/f.u.; VASP energy = -6.078 eV/atom; Fermi-level density of states = 2.80 states/eV/f.u.; energy above the most stable polymorph in this dataset = 0.0 meV/atom
1.0
3.842 0.000 0.000
0.000 3.842 0.000
0.000 0.000 4.105
Zr Ni H Pd
1 2 1 1
direct
0.000 0.000 0.000
0.000 0.500 0.500
0.500 0.000 0.500
0.000 0.000 0.500
0.500 0.500 0.000



- Number 2 is which compound?
  ZrAl3Ni3

* * * * *

12
Lattice="3.929 0.000 0.000 -1.964 6.061 0.000 0.000 0.000 7.874" Properties=species:S:1:pos:R:3 comment="AgPt | Alexandria | PBEsol | optimized geometry" sg=Cmcm pbc="T T T"
Ag 0.000 0.001 1.969
Ag 1.964 6.060 5.906
Ag 1.964 0.000 3.937
Ag 0.000 4.086 1.969
Ag 1.964 1.976 5.906
Ag 1.964 0.000 0.000
Pt 1.964 3.981 3.998
Pt 1.964 2.064 1.969
Pt 1.964 3.981 7.814
Pt 0.000 3.997 5.906
Pt 0.000 2.080 3.877
Pt 0.000 2.080 0.061

***

10
Lattice="4.872 -0.001 -0.003 -1.566 5.368 0.000 -0.889 -1.678 6.033" Properties=species:S:1:pos:R:3 comment="Ag3Pt2 | Alexandria | PBEsol | optimized geometry" sg=P1 pbc="T T T"
Ag 2.416 0.741 1.196
Ag 2.456 2.220 3.612
Ag 0.772 0.259 4.814
Ag 4.855 -0.008 0.022
Ag 3.214 -0.473 3.594